Brief:
Transcribe the whole of the lines further down verbatim.
File:
........
No. 1
The following is a simulated PXRD pattern of Sr2Tl2O5. It was derived from a cell relaxed with GGA-PBE, using copper Kα.
No peak broadening, texture or thermal motion is included.

Atomic structure:
```
Sr2Tl2O5
1.0
1.7823 -5.8437 0.0000
1.7823 5.8437 0.0000
0.0000 0.0000 14.0653
Sr Tl O
4 4 10
Direct
0.0331 0.9669 0.5000
0.2118 0.7882 0.1537
0.7882 0.2118 0.6537
0.9669 0.0331 0.0000
0.2377 0.7623 0.8736
0.4875 0.5125 0.2657
0.5125 0.4875 0.7657
0.7623 0.2377 0.3736
0.1187 0.8813 0.3208
0.1619 0.8381 0.7314
0.3188 0.6812 0.0065
0.4048 0.5952 0.4040
0.4409 0.5591 0.6251
0.5591 0.4409 0.1251
0.5952 0.4048 0.9040
0.6812 0.3188 0.5065
0.8381 0.1619 0.2314
0.8813 0.1187 0.8208
```

Largest 8 diffraction maxima, by angle, 5 to 70 degrees two-theta:
2theta, I (rel.)
12.59, 69
26.91, 31
29.11, 52
29.65, 100
30.60, 38
32.47, 35
34.70, 48
36.48, 49

No. 2
The following is a simulated PXRD pattern of SrTlO. It was derived from a cell relaxed with GGA-PBE, using copper Kα.
No peak broadening, texture or thermal motion is included.

Atomic structure:
```
SrTlO
1.0
3.5117 0.0000 0.0000
0.0000 3.5117 0.0000
0.0000 0.0000 5.8077
Sr Tl O
1 1 1
Direct
0.0000 0.0000 0.0000
0.5000 0.5000 0.5079
0.5000 0.5000 0.9309
```

Largest 8 diffraction maxima, by angle, 5 to 70 degrees two-theta:
2theta, I (rel.)
25.36, 16
29.73, 100
30.79, 27
36.17, 37
48.22, 31
54.09, 21
61.13, 27
61.74, 15

No. 3
The following is a simulated PXRD pattern of Sr2Tl2O5. It was derived from a cell relaxed with GGA-PBE, using copper Kα.
No peak broadening, texture or thermal motion is included.

Atomic structure:
```
Sr2Tl2O5
1.0
6.1097 0.0000 0.0000
0.0000 14.1148 0.0000
-2.0066 0.0000 6.8106
Sr Tl O
8 8 20
Direct
0.0521 0.1131 0.1373
0.0521 0.3869 0.6373
0.4303 0.7344 0.7391
0.4303 0.7656 0.2391
0.5697 0.2344 0.7609
0.5697 0.2656 0.2609
0.9479 0.6131 0.3627
0.9479 0.8869 0.8627
0.0472 0.1066 0.6376
0.0472 0.3934 0.1376
0.5000 0.0000 0.0000
0.5000 0.0000 0.5000
0.5000 0.5000 0.0000
0.5000 0.5000 0.5000
0.9528 0.6066 0.8624
0.9528 0.8934 0.3624
0.1341 0.7345 0.9201
0.1341 0.7655 0.4201
0.2064 0.5342 0.1776
0.2064 0.9658 0.6776
0.2315 0.5552 0.6831
0.2315 0.9448 0.1831
0.3389 0.1381 0.4645
0.3389 0.3619 0.9645
0.3545 0.1399 0.9638
0.3545 0.3601 0.4638
0.6455 0.6399 0.5362
0.6455 0.8601 0.0362
0.6611 0.6381 0.0355
0.6611 0.8619 0.5355
0.7685 0.0552 0.8169
0.7685 0.4448 0.3169
0.7936 0.0342 0.3224
0.7936 0.4658 0.8224
0.8659 0.2345 0.5799
0.8659 0.2655 0.0799
```

Largest 8 diffraction maxima, by angle, 5 to 70 degrees two-theta:
2theta, I (rel.)
12.54, 46
29.12, 25
29.23, 25
29.55, 100
30.51, 39
36.36, 27
36.63, 29
46.98, 22

No. 4
The following is a simulated PXRD pattern of Sr2Tl2O5. It was derived from a cell relaxed with GGA-PBE, using copper Kα.
No peak broadening, texture or thermal motion is included.

Atomic structure:
```
Sr2Tl2O5
1.0
-8.1336 3.1415 3.0459
8.1336 -3.1415 3.0459
8.1336 3.1415 -3.0459
Sr Tl O
4 4 10
Direct
0.0164 0.1108 0.1271
0.0164 0.3892 0.4056
0.9836 0.6108 0.5944
0.9836 0.8892 0.8729
0.4383 0.7359 0.2023
0.5180 0.0180 0.5000
0.5180 0.5180 0.0000
0.5336 0.2359 0.7977
0.0058 0.3711 0.1347
0.0218 0.2898 0.7891
0.0218 0.7328 0.2321
0.2364 0.8711 0.8653
0.4892 0.2335 0.5346
0.4892 0.4546 0.7557
0.5007 0.2328 0.2109
0.5007 0.7898 0.7679
0.6989 0.7335 0.2443
0.6989 0.9546 0.4654
```

Largest 8 diffraction maxima, by angle, 5 to 70 degrees two-theta:
2theta, I (rel.)
20.30, 24
21.85, 12
28.41, 28
29.32, 29
30.00, 100
41.29, 25
51.31, 20
52.43, 23
........
Worked solution:
No. 1
The following is a simulated PXRD pattern of Sr2Tl2O5. It was derived from a cell relaxed with GGA-PBE, using copper Kα.
No peak broadening, texture or thermal motion is included.

Atomic structure:
```
Sr2Tl2O5
1.0
1.7823 -5.8437 0.0000
1.7823 5.8437 0.0000
0.0000 0.0000 14.0653
Sr Tl O
4 4 10
Direct
0.0331 0.9669 0.5000
0.2118 0.7882 0.1537
0.7882 0.2118 0.6537
0.9669 0.0331 0.0000
0.2377 0.7623 0.8736
0.4875 0.5125 0.2657
0.5125 0.4875 0.7657
0.7623 0.2377 0.3736
0.1187 0.8813 0.3208
0.1619 0.8381 0.7314
0.3188 0.6812 0.0065
0.4048 0.5952 0.4040
0.4409 0.5591 0.6251
0.5591 0.4409 0.1251
0.5952 0.4048 0.9040
0.6812 0.3188 0.5065
0.8381 0.1619 0.2314
0.8813 0.1187 0.8208
```

Largest 8 diffraction maxima, by angle, 5 to 70 degrees two-theta:
2theta, I (rel.)
12.59, 69
26.91, 31
29.11, 52
29.65, 100
30.60, 38
32.47, 35
34.70, 48
36.48, 49

No. 2
The following is a simulated PXRD pattern of SrTlO. It was derived from a cell relaxed with GGA-PBE, using copper Kα.
No peak broadening, texture or thermal motion is included.

Atomic structure:
```
SrTlO
1.0
3.5117 0.0000 0.0000
0.0000 3.5117 0.0000
0.0000 0.0000 5.8077
Sr Tl O
1 1 1
Direct
0.0000 0.0000 0.0000
0.5000 0.5000 0.5079
0.5000 0.5000 0.9309
```

Largest 8 diffraction maxima, by angle, 5 to 70 degrees two-theta:
2theta, I (rel.)
25.36, 16
29.73, 100
30.79, 27
36.17, 37
48.22, 31
54.09, 21
61.13, 27
61.74, 15

No. 3
The following is a simulated PXRD pattern of Sr2Tl2O5. It was derived from a cell relaxed with GGA-PBE, using copper Kα.
No peak broadening, texture or thermal motion is included.

Atomic structure:
```
Sr2Tl2O5
1.0
6.1097 0.0000 0.0000
0.0000 14.1148 0.0000
-2.0066 0.0000 6.8106
Sr Tl O
8 8 20
Direct
0.0521 0.1131 0.1373
0.0521 0.3869 0.6373
0.4303 0.7344 0.7391
0.4303 0.7656 0.2391
0.5697 0.2344 0.7609
0.5697 0.2656 0.2609
0.9479 0.6131 0.3627
0.9479 0.8869 0.8627
0.0472 0.1066 0.6376
0.0472 0.3934 0.1376
0.5000 0.0000 0.0000
0.5000 0.0000 0.5000
0.5000 0.5000 0.0000
0.5000 0.5000 0.5000
0.9528 0.6066 0.8624
0.9528 0.8934 0.3624
0.1341 0.7345 0.9201
0.1341 0.7655 0.4201
0.2064 0.5342 0.1776
0.2064 0.9658 0.6776
0.2315 0.5552 0.6831
0.2315 0.9448 0.1831
0.3389 0.1381 0.4645
0.3389 0.3619 0.9645
0.3545 0.1399 0.9638
0.3545 0.3601 0.4638
0.6455 0.6399 0.5362
0.6455 0.8601 0.0362
0.6611 0.6381 0.0355
0.6611 0.8619 0.5355
0.7685 0.0552 0.8169
0.7685 0.4448 0.3169
0.7936 0.0342 0.3224
0.7936 0.4658 0.8224
0.8659 0.2345 0.5799
0.8659 0.2655 0.0799
```

Largest 8 diffraction maxima, by angle, 5 to 70 degrees two-theta:
2theta, I (rel.)
12.54, 46
29.12, 25
29.23, 25
29.55, 100
30.51, 39
36.36, 27
36.63, 29
46.98, 22

No. 4
The following is a simulated PXRD pattern of Sr2Tl2O5. It was derived from a cell relaxed with GGA-PBE, using copper Kα.
No peak broadening, texture or thermal motion is included.

Atomic structure:
```
Sr2Tl2O5
1.0
-8.1336 3.1415 3.0459
8.1336 -3.1415 3.0459
8.1336 3.1415 -3.0459
Sr Tl O
4 4 10
Direct
0.0164 0.1108 0.1271
0.0164 0.3892 0.4056
0.9836 0.6108 0.5944
0.9836 0.8892 0.8729
0.4383 0.7359 0.2023
0.5180 0.0180 0.5000
0.5180 0.5180 0.0000
0.5336 0.2359 0.7977
0.0058 0.3711 0.1347
0.0218 0.2898 0.7891
0.0218 0.7328 0.2321
0.2364 0.8711 0.8653
0.4892 0.2335 0.5346
0.4892 0.4546 0.7557
0.5007 0.2328 0.2109
0.5007 0.7898 0.7679
0.6989 0.7335 0.2443
0.6989 0.9546 0.4654
```

Largest 8 diffraction maxima, by angle, 5 to 70 degrees two-theta:
2theta, I (rel.)
20.30, 24
21.85, 12
28.41, 28
29.32, 29
30.00, 100
41.29, 25
51.31, 20
52.43, 23